УДК 811.111(075.4) ББК 81.2Англ Х 35 Оформление обложки и иллюстрации О. Поповича
Х 35
Хейнонен, Елизавета. 167 загадок для тех, кто хочет знать английский лучше / Е. Хейнонен. — Москва : Эксмо, 2015. — 320 с. — (Иностранный в картинках). ISBN 978-5-699-72621-9 В этой книге собрано множество загадочных историй и таинственных происшествий, ребусов и головоломок, шифрованных записок и секретных кодов. Для их решения читателям предстоит вспомнить все, что они знали об английском языке, и не забыть о логике и здравом смысле. В книге содержатся загадки на правописание, фонетику, лексику и грамматику, рассматриваются популярные каламбуры, омонимы и омофоны. Найдя правильные ответы на каверзные вопросы, изучающие язык уберегут себя от досадных грамматических ошибок и двусмысленных заявлений, научатся лучше применять грамматические конструкции и лексические единицы в речи. Все загадки снабжены не только ключами, но и пояснениями, которые помогут больше узнать о рассматриваемых грамматических явлениях, устойчивых выражениях, заставят обратить внимание на распространенные ошибки. Пособие рассчитано на учащихся начинающего уровня, владеющих основами английского языка и стремящихся говорить на нем свободнее. УДК 811.111(075.4) ББК 81.2Англ
ISBN 978-5-699-72621-9
© Елизавета Хейнонен, 2015 © ООО «Издательство «Эксмо», 2015
I. WORD AND GRAMMAR PUZZLES Лексические и грамматические загадки . . . . . . . . . . . . .4 II. RIDDLES Загадки и ребусы . . . . . . . . . . . . . . . . . . . . . . . . . . . . . . . .80 III. HUMOROUS PUZZLES Шуточные загадки . . . . . . . . . . . . . . . . . . . . . . . . . . . . . .130 IV. DETECTIVE PUZZLES Детективные загадки . . . . . . . . . . . . . . . . . . . . . . . . . . .154 KEY Ключи . . . . . . . . . . . . . . . . . . . . . . . . . . . . . . . . . . . . . . . .199 Англо-русский словарь . . . . . . . . . . . . . . . . . . . . . . . . . .227 Русско-английский словарь . . . . . . . . . . . . . . . . . . . . .319
I Лексические и грамматические загадки
Record 1
Material: Rb2CrNiO
Method: DFT, PBEsol
State: optimized geometry

The structure in CIF format:
```
data_Rb2CrNiO
_symmetry_space_group_name_H-M 'P 1'
_symmetry_Int_Tables_number 1
_cell_length_a 3.423
_cell_length_b 6.498
_cell_length_c 6.498
_cell_angle_alpha 90.00
_cell_angle_beta 90.00
_cell_angle_gamma 90.00
loop_
_symmetry_equiv_pos_as_xyz
'x,y,z'
loop_
_atom_site_label
_atom_site_fract_x
_atom_site_fract_y
_atom_site_fract_z
_atom_site_occupancy
Rb1 0.000 0.000 0.500 1
Rb2 0.000 0.500 0.000 1
O1 0.500 0.000 0.000 1
Ni1 0.000 0.000 0.000 1
Cr1 0.500 0.500 0.500 1
```

Output
Energy relative to the elements, uncorrected   0.2611 eV/atom
SG   No. 123

---

Record 2
Material: MnCoSe2
Method: DFT, PBEsol
State: optimized geometry

The structure in CIF format:
```
data_MnCoSe2
_symmetry_space_group_name_H-M 'P 1'
_symmetry_Int_Tables_number 1
_cell_length_a 3.263
_cell_length_b 3.263
_cell_length_c 6.119
_cell_angle_alpha 90.00
_cell_angle_beta 90.00
_cell_angle_gamma 90.00
loop_
_symmetry_equiv_pos_as_xyz
'x,y,z'
loop_
_atom_site_label
_atom_site_fract_x
_atom_site_fract_y
_atom_site_fract_z
_atom_site_occupancy
Co1 0.000 0.000 0.509 1
Mn1 0.500 0.500 0.740 1
Se1 0.000 0.000 0.886 1
Se2 0.500 0.500 0.364 1
```

Output
Energy relative to the elements, uncorrected   -0.2315 eV/atom
SG   No. 99
Relative energy among the computed polymorphs   89 meV per atom

---

Record-wise density of states at the Fermi level values, in states/eV/atom: 0.50, 0.71
I Word and Grammar Puzzles
The Essay
After the summer holidays, the teacher asked her class to write an essay on how and where the children had spent their vacation. Johnny worked on his essay for almost an hour, yet he wasn’t sure how the teacher would take it.1 And indeed, when the teacher opened his exercise book, she frowned, because she saw something she never expected to see. This is what she saw:
But the next moment she smiled and said to herself, “This little rascal is really very talented. I hope he liked his stay in—”
In what country? Where did Johnny spend his summer holidays? 1
how the teacher would take it — как учительница это воспримет Лексические и грамматические загадки
Johnny’s Grammar ,
VOICE ON THE PHONE: Are your father and mother at home? LITTLE JOHNNY: They was, but they isn’t now. VOICE ON THE PHONE: They was, but they isn’t! Where is your grammar? JOHNNY: She is out, too.1
She is out, too. — Ее тоже нет дома. Word and Grammar Puzzles
He Wanted a Horse , , ,
. : . CUSTOMER: Can I rent a horse? GROOM: How long do you want it? CUSTOMER: As long as you have, laddie. There are five of us.1
here are ive of us. — Нас пятеро. Лексические и грамматические загадки
Is or Does?
Five-year-old little Johnny was lost, so he went up to a policeman and said, “I’ve lost my dad!” The policeman said, “What’s he like?” Little Johnny replied, “Beer and women!”
Low Opinion .
The inspector was making his monthly visit to the village school. After examining the children thoroughly he rose to his feet and, looking around the room, remarked: “I wish I could be1 a little boy at school again.” After waiting for this to sink in2, he added: “Do you know why I wish that?” For a moment there was silence. Then a little girl raised her hand and said: “Because you forgot everything you ever knowed.” 1
I wish I could be — хотел бы я быть ater waiting for this to sink in — подождав, пока его слова дойдут до сознания учащихся 2
Word and Grammar Puzzles
The Farmer and His Sheep
A farmer had seventeen sheep. All but nine died. How many live sheep does he have left?1
How So?
The piece is interrupted by data records
-- begin --
Record 1
The following is a DFT calculation (PBE) of crystalline Cd2AgP at its relaxed geometry.

Calculated values
**D(E_F)**: 0.237 states/eV/atom
**Magnetization**: 0.000 μB/cell
**Calculated formation energy**: 25 kJ per mole of atoms
**Calculated total energy**: -36.3 eV/cell

Unit cell a=6.830 b=6.830 c=6.830 alpha=90.00 beta=90.00 gamma=90.00
Fractional positions:
Cd (0.000, 0.000, 0.000)
Cd (0.000, 0.500, 0.500)
Cd (0.250, 0.250, 0.250)
Cd (0.250, 0.750, 0.750)
Cd (0.500, 0.000, 0.500)
Cd (0.500, 0.500, 0.000)
Cd (0.750, 0.250, 0.750)
Cd (0.750, 0.750, 0.250)
Ag (0.250, 0.250, 0.750)
Ag (0.250, 0.750, 0.250)
Ag (0.750, 0.250, 0.250)
Ag (0.750, 0.750, 0.750)
P (0.000, 0.000, 0.500)
P (0.000, 0.500, 0.000)
P (0.500, 0.000, 0.000)
P (0.500, 0.500, 0.500)

=====

Record 2
The following is a DFT calculation (PBE) of crystalline CoCu2Au at its relaxed geometry.

Calculated values
**D(E_F)**: 1.070 states/eV/atom
**Magnetization**: 3.240 μB/cell
**Calculated formation energy**: 18 kJ per mole of atoms
**Calculated total energy**: -35.7 eV/cell

Unit cell a=5.375 b=7.481 c=2.684 alpha=90.00 beta=90.00 gamma=90.00
Fractional positions:
Co (0.000, 0.000, 0.000)
Co (0.500, 0.500, 0.000)
Cu (0.250, 0.250, 0.500)
Cu (0.250, 0.750, 0.500)
Cu (0.750, 0.250, 0.500)
Cu (0.750, 0.750, 0.500)
Au (0.000, 0.500, 0.000)
Au (0.500, 0.000, 0.000)

=====

Record 3
The following is a DFT calculation (PBE) of crystalline SiSbOs2 at its relaxed geometry.

Calculated values
**D(E_F)**: 0.864 states/eV/atom
**Magnetization**: 0.000 μB/cell
**Energy relative to the elements, uncorrected**: 0.52 eV per atom
**Calculated total energy**: -59.9 eV/cell
**Energy above the lowest structure with this stoichiometry**: 350 meV per atom

Unit cell a=2.994 b=5.042 c=8.754 alpha=90.00 beta=90.00 gamma=90.00
Fractional positions:
Si (0.000, 0.000, 0.000)
Si (0.500, 0.500, 0.000)
Sb (0.000, 0.000, 0.500)
Sb (0.500, 0.500, 0.500)
Os (0.000, 0.500, 0.210)
Os (0.000, 0.500, 0.790)
Os (0.500, 0.000, 0.210)
Os (0.500, 0.000, 0.790)

* * * * *

! CsZrS3 (meta-GGA SCAN, PBEsol geometry); values from VASP
! VASP energy = -91.58 eV for the cell shown
! total moment = 0.30 μB/atom
! E_form (uncorrected) = 1.162 eV per atom
&SYSTEM
  ibrav = 0, nat = 5, ntyp = 3
/
ATOMIC_SPECIES
Cs 132.91 Cs.upf
S 32.06 S.upf
Zr 91.22 Zr.upf
CELL_PARAMETERS angstrom
5.2166 0.0000 0.0000
0.0000 5.2166 0.0000
0.0000 0.0000 5.2166
ATOMIC_POSITIONS crystal
Cs 0.0000 0.0000 0.0000
S 0.0000 0.5000 0.0000
S 0.0000 0.0000 0.5000
S 0.5000 0.0000 0.0000
Zr 0.5000 0.5000 0.5000

---

! Cs3Sb (meta-GGA SCAN, PBEsol geometry); values from VASP
! VASP energy = -152.57 eV for the cell shown
! total moment = 0.00 μB/atom
! E_form (uncorrected) = -0.470 eV per atom
&SYSTEM
  ibrav = 0, nat = 4, ntyp = 2
/
ATOMIC_SPECIES
Cs 132.91 Cs.upf
Sb 121.76 Sb.upf
CELL_PARAMETERS angstrom
6.3843 0.0000 0.0000
3.1922 5.5290 0.0000
3.1922 1.8430 5.2128
ATOMIC_POSITIONS crystal
Cs 0.7500 0.7500 0.7500
Cs 0.2500 0.2500 0.2500
-- stop --
There was a theft in Jack Brown’s office. Someone had stolen a very important document. A police inspector came to look around and to talk to the employees.2 He found out that the theft had taken place at exactly 5:15. Jack told him that he had left his office by 5:15. His friend, Nick, who also worked in the same office, said, “I didn’t leave the office until 5:15.” In other words, the two young men left the office at about the same time, but the inspector, having asked Jack a few questions,3 released him. For some reason, he decided that Nick could tell him more, and he asked him to stay.
How so?4 1
How many live sheep does he have let? — Сколько живых овец у него сталось? 2 Инфинитивная конструкция с частицей to указывает на цель действия: он пришел, чтобы осмотреться и побеседовать c сотрудниками. 3 having asked Jack a few questions — после того, как задал Джеку несколько вопросов 4 How so? — здесь: Как так могло получиться?
Лексические и грамматические загадки
Drag, Drug, Drugged ? .
(Data records, as found in the file)
┌──
Entry 1:
# TiNiNO2 | Alexandria | PBE+U | optimized geometry
# * calculated total energy: -6.484 eV/atom
data_TiNiNO2
_chemical_formula_sum 'Ti1 Ni1 N1 O2'
_symmetry_space_group_name_H-M 'P 1'
_symmetry_Int_Tables_number 1
_cell_length_a 3.8026
_cell_length_b 3.8026
_cell_length_c 4.0010
_cell_angle_alpha 90.00
_cell_angle_beta 90.00
_cell_angle_gamma 90.00
loop_
_symmetry_equiv_pos_as_xyz
'x,y,z'
loop_
_atom_site_label
_atom_site_type_symbol
_atom_site_fract_x
_atom_site_fract_y
_atom_site_fract_z
Ti1 Ti 0.0000 0.0000 0.0000
Ni1 Ni 0.5000 0.5000 0.5000
N1 N 0.0000 0.0000 0.5000
O1 O 0.0000 0.5000 0.0000
O2 O 0.5000 0.0000 0.0000

Entry 2:
# TiNiN2O | Alexandria | PBE+U | optimized geometry
# * calculated total energy: -6.256 eV/atom
data_TiNiN2O
_chemical_formula_sum 'Ti1 Ni1 N2 O1'
_symmetry_space_group_name_H-M 'P 1'
_symmetry_Int_Tables_number 1
_cell_length_a 3.9508
_cell_length_b 3.9508
_cell_length_c 3.7989
_cell_angle_alpha 90.00
_cell_angle_beta 90.00
_cell_angle_gamma 90.00
loop_
_symmetry_equiv_pos_as_xyz
'x,y,z'
loop_
_atom_site_label
_atom_site_type_symbol
_atom_site_fract_x
_atom_site_fract_y
_atom_site_fract_z
Ti1 Ti 0.0000 0.0000 0.0000
Ni1 Ni 0.5000 0.5000 0.5000
N1 N 0.0000 0.5000 0.0000
N2 N 0.5000 0.0000 0.0000
O1 O 0.0000 0.0000 0.5000

Entry 3:
# TiNiNO2 | Alexandria | PBE+U | optimized geometry
# * calculated total energy: -6.067 eV/atom
data_TiNiNO2
_chemical_formula_sum 'Ti1 Ni1 N1 O2'
_symmetry_space_group_name_H-M 'P 1'
_symmetry_Int_Tables_number 1
_cell_length_a 3.6195
_cell_length_b 3.6195
_cell_length_c 3.7093
_cell_angle_alpha 90.00
_cell_angle_beta 90.00
_cell_angle_gamma 90.00
loop_
_symmetry_equiv_pos_as_xyz
'x,y,z'
loop_
_atom_site_label
_atom_site_type_symbol
_atom_site_fract_x
_atom_site_fract_y
_atom_site_fract_z
Ti1 Ti 0.0000 0.0000 0.0000
Ni1 Ni 0.5000 0.5000 0.5000
N1 N 0.5000 0.5000 0.0000
O1 O 0.0000 0.5000 0.5000
O2 O 0.5000 0.0000 0.5000

* * * * *

! GGA-PBE SiRu2Cl, relaxed; values from VASP
&SYSTEM
  ibrav = 0, nat = 4, ntyp = 3
/
ATOMIC_SPECIES
Si 28.09 Si.upf
Ru 101.07 Ru.upf
Cl 35.45 Cl.upf
CELL_PARAMETERS angstrom
1.4778 0.8532 7.8663
-1.4778 0.8532 7.8663
0.0000 -1.7064 7.8663
ATOMIC_POSITIONS crystal
Si 0.0000 0.0000 0.0000
Ru 0.2625 0.2625 0.2625
Ru 0.5075 0.5075 0.5075
Cl 0.7497 0.7497 0.7497
! * space-group type: R3m (160)
! * raw formation energy: 0.310 eV per atom
! * relative energy among the computed polymorphs: 35.82 kJ per mole of atoms

---

! GGA-PBE InSnPb5, relaxed; values from VASP
&SYSTEM
  ibrav = 0, nat = 7, ntyp = 3
/
ATOMIC_SPECIES
In 114.82 In.upf
Sn 118.71 Sn.upf
Pb 207.20 Pb.upf
CELL_PARAMETERS angstrom
4.9021 0.0000 0.0000
0.0000 4.9021 0.0000
0.0000 0.0000 9.3506
ATOMIC_POSITIONS crystal
In 0.0000 0.0000 0.0000
Sn 0.0000 0.0000 0.5000
Pb 0.0000 0.5000 0.2286
Pb 0.0000 0.5000 0.7714
Pb 0.5000 0.0000 0.2286
Pb 0.5000 0.0000 0.7714
Pb 0.5000 0.5000 0.5000
! * space-group type: P4/mmm (123)
! * ΔE_f: 0.057 eV per atom
└──
(Here the page continues)
The police physician was called to examine an unconscious prisoner who had been arrested and brought to the station house for drunkenness. After a short examination, the physician addressed the policeman who had made the arrest. “This fellow is not suffering from the effects of alcohol. He has been drugged.” The policeman was greatly disturbed, and spoke falteringly: “I’m thinkin’ ye’re right, Sor.1 I drugged him all the way to the station.”
ye’re = you are; Sor = Sir Word and Grammar Puzzles
How Is That Possible?
A man removed the hands and the face. He cleaned and oiled them, then put them back in place.
How is that possible?
She Misunderstood Him
, ? ?
A policeman spotted a woman driving and knitting at the same time. Driving up beside her, he shouted out of the window:
“No,” she shouted back, “a pair of socks!”
Лексические и грамматические загадки
What Does a Clown Taste Like?
Two cannibals are eating a clown. One says to the other: “Does this taste funny to you?”
Word and Grammar Puzzles
A Difficult Riddle
A first grader will solve this riddle in five minutes,1 a fifth grader in fifteen minutes, a university student in an hour, a university professor may never solve it.
Here is the riddle: What could the word ottffssent possibly mean?2 Decipher it.
Bon Appétit!3
“What do the guests do at a cannibal wedding?” “They toast the bride and groom.”
1 in ive minutes — за пять минут. Здесь предлог in указывает, за какой срок может быть выполнено действие. 2 What could the word ottfssent possibly mean? — Что может означать слово ottfssent? Здесь possibly используется как слово-усилитель. 3 bon appétit — приятного аппетита (франц.)
Лексические и грамматические загадки
Fine for Parking
POLICEMAN: Why did you park in front of the firehouse? WOMAN: Why,1 it says here: “Fine for Parking.”
Здесь why — междометие со значением возражения, смешанного с удивлением: «А что я такого сделала?» Word and Grammar Puzzles